The Incredible Journey: 19 - 20 February, 1994

In 1994, I did what most white South Africans my age saw as a right of passage. I went on a tour of Europe with a schoolfriend and her girlfriend. I was in my early 20's.
These are the letters and faxes (this was before everyone had email, Children) I sent home. They are all real. I couldn't make this shit up.
The trip started in January 1994. To read the posts in order, go the Itinerary Post.
20 February 1994
Surey, South of London
Stupid mistake. Forgot to bring photocopies of proof of my degree and diploma [for the recruitment agency]. In the boxes (I think in the one in the top left cupboard in my room) is a flipfile with old CV plus all documentation. Could you please get copies of degree results and diploma results.
Look for them now and I'll get you a fax No. to send them to.
If you can't find that, a photocopy of my actual certificate from varsity is next choice. Still in cardboard tube. I think it's in the box above the mirror, or did I give it to you?
Please try to get this stuff out for me. Will contact you soon. Letter already on it's way.
Love you lots.
PS Settled in with Carrie. Nice place.
20 February 1994
Surrey, South of London
Carrie [a teacher] on holiday (schools closed), so ran around today on errands. All over the tube and trains plus took 1st ride in a London Taxi. In such good condition. By the way, city streets very clean.
Insured camper van (law here) at "Down Under Insurance" who specialise in insurance for touring Kiwis, Aussies and us. They gave us a sticker with a cartoon Springbok behind a steering wheel which says "South Africans On Tour." Great! We are going to stick it over the Aussie sticker which is on the van at the moment. [I don't remember where we bought the camper van. But is was a Ford, well used, and green.]
Went shopping when we got back at Tesco's. I absolutely COULD NOT BELIEVE the prices. Some examples: 1 litre lemonade... 26p. Huge bag of 6 packets of chips different flavours... £1.23. The most amazing range of tinned and dessicated products - we are stocking the camper now.
Carrie wants to go touring on 1 April, which came as a bit of a shock to me. I suppose it would be best to go before peak summer season. I don't know. She has worked it all out... route, visas, etc. Should cost £1,300.00. I am undecided. What work can I do for 1 month? Should I go visiting and see England, tour, and then come back and work? On the other hand, if I don't go with her then I have all the transport costs and the loneliness of doing it by myself. I will sit down tonight and work the money out.
It's not easy being a smoker in this country. It isn't a case of finding a no-smoking zone... it's the other way around! I have become distinctly irritated.
Public TV is marginally better than SABC. There are 4 channels though so imagine 4 TV1s - you can generally find something entertaining. There seem to be a lot of game shows. Blind date, etc. Carrie told me about a programme called Gladiators - a team of beefy men and women who are challenged by civilians - usually salespersons - and compete in silly things like knocking each other off a greased pole with pillows. Unfortunately this house doesn't have Sky TV - no pay channels.
The house set up is OK. It's £30/week each for everything, and we can do our washing downstairs, which gets hung all over the radiators to dry. The family downstairs consists of the mother and 2 daughters. Boyfriend lives 3 roads away and has 2 small kids. He used to be a concert pianist. They are VERY untidy. Like PIGS actually. The flat only has one hob, so if buy oven stuff we cook it downstairs. They seem not to mind our being here at all. Brits must be used to close quarters.
British transport service is amazing.
My ear is getting better but that medicine really knocks me for 6. Felt very dazed all day. BRIT AWARDS taking place as I write this. Madonna here for them. Big deal of course. Wish she was doing a concert.
/*
# 1
V3H6O10, optimized geometry, DFT GGA+U; calculated volume = 483 Å³/cell; symmetry = Pc, No. 7; energy above the most stable polymorph in this dataset = 106 kJ/mol of formula units; energy of formation = -1739 meV per atom
1.0
8.9778 0.0000 0.0000
0.0000 6.0104 0.0000
0.0000 0.1558 8.9555
V H O
6 12 20
Direct
0.1076 0.7288 0.6348
0.2478 0.7425 0.9921
0.3837 0.7250 0.3561
0.8924 0.7288 0.1348
0.7522 0.7425 0.4921
0.6163 0.7250 0.8561
0.2924 0.3447 0.0435
0.9538 0.2206 0.9296
0.6391 0.3385 0.9363
0.0462 0.2206 0.4296
0.3182 0.1938 0.6908
0.0448 0.2863 0.2633
0.4770 0.1210 0.6446
0.9552 0.2863 0.7633
0.6818 0.1938 0.1908
0.7076 0.3447 0.5435
0.5230 0.1210 0.1446
0.3609 0.3385 0.4363
0.8950 0.2070 0.8392
0.9079 0.4582 0.1522
0.2497 0.7900 0.4905
0.7503 0.7900 0.9905
0.3419 0.8293 0.1785
0.1737 0.8392 0.8038
0.3885 0.4341 0.3471
0.6115 0.4341 0.8471
0.3977 0.2256 0.6191
0.1050 0.2070 0.3392
0.9352 0.8373 0.5765
0.8263 0.8392 0.3038
0.2317 0.4483 0.9840
0.7683 0.4483 0.4840
0.6023 0.2256 0.1191
0.0648 0.8373 0.0765
0.4441 0.8237 0.9108
0.6581 0.8293 0.6785
0.5559 0.8237 0.4108
0.0921 0.4582 0.6522

---

# 2
V3H5O8, optimized geometry, DFT GGA+U; calculated volume = 140 Å³/cell; symmetry = Cm, No. 8; energy above the most stable polymorph in this dataset = 0 kJ/mol of formula units; energy of formation = -1922 meV per atom
1.0
1.5529 9.6961 0.0000
-1.5529 9.6961 0.0000
0.0000 1.1904 4.6615
O H V
8 5 3
Direct
0.7170 0.7170 0.3572
0.2827 0.2827 0.6404
0.3391 0.3391 0.0801
0.6627 0.6627 0.9124
0.0929 0.0929 0.5774
0.9061 0.9061 0.4194
0.4679 0.4679 0.7943
0.5303 0.5303 0.2008
0.3116 0.3116 0.9257
0.6886 0.6886 0.0722
0.4953 0.4953 0.9573
0.5832 0.5832 0.0974
0.4132 0.4132 0.9058
0.1795 0.1795 0.6228
0.8193 0.8193 0.3777
0.0013 0.0013 0.4815

---

no.,density (Mg/m³)
1,2.191
2,3.381


# 1
! Ba2TiO4 PBE relaxed; values from VASP
! **Calculated volume**: 18.47 A^3/atom
! **Symmetry**: P2_1/c
! **Energy of formation from the pure elements**: -23.79 eV/f.u.
&SYSTEM
  ibrav = 0, nat = 28, ntyp = 3
/
ATOMIC_SPECIES
Ba 137.33 Ba.upf
Ti 47.87 Ti.upf
O 16.00 O.upf
ATOMIC_POSITIONS angstrom
Ba -1.5093 0.0237 3.2082
Ba -4.2698 3.8636 8.5377
Ba -1.2605 5.1342 6.1099
Ba 1.5001 6.5276 0.7803
Ba -0.7812 1.2469 9.8788
Ba 1.9793 2.6404 4.5492
Ba 4.9886 3.9110 2.1214
Ba 2.2281 7.7508 7.4510
Ti -1.0723 1.7114 6.2187
Ti 1.6882 2.1758 0.8892
Ti -0.9694 5.5987 9.7700
Ti 1.7912 6.0631 4.4404
O 0.1362 1.3592 1.4603
O -2.6243 2.5280 6.7898
O -3.4765 1.4041 9.9084
O -0.7160 2.4832 4.5789
O 1.3678 3.9433 0.6770
O -1.3928 7.7185 6.0066
O 0.3774 5.7874 3.2919
O -2.3831 5.8744 8.6215
O 3.1019 1.9002 2.0377
O 0.3414 1.9871 7.3672
O 2.1116 0.0560 4.6526
O -0.6489 3.8313 9.9822
O 1.4348 5.2913 6.0803
O 4.1953 6.3705 0.7507
O 3.3431 5.2465 3.8693
O 0.5826 6.4153 9.1989
CELL_PARAMETERS angstrom
6.2399 0.0000 0.0000
0.0000 7.7746 0.0000
-5.5210 0.0000 10.6591


# 2
! Ba2Ti2TlO7 PBE relaxed; values from VASP
! **Calculated volume**: 16.13 A^3/atom
! **Symmetry**: P4/mmm
*/
That's all for now. Write soon as we will probably leave 1 April. This house up for sale so prospects of accommodation uncertain. Another reason to move on I suppose.
+++
## NaMgSb (r²SCAN)

Data for an optimized crystal structure of NaMgSb.

Unit cell a=4.6492 b=4.6492 c=7.6152 alpha=90.00 beta=90.00 gamma=90.00
Closest atoms and distances in Å follow each position.
Space group P4/nmm (No. 129, origin choice 2)
Inequivalent atoms, fractional coordinates:
1 Na 0.2500 0.2500 0.1426 x2  5 Sb 3.17-3.44
2 Mg 0.2500 0.7500 0.5000 x2  4 Sb 2.89
3 Sb 0.2500 0.2500 0.7259 x2  4 Mg 2.89, 1 Na 3.17

***

## P2Pb3O8 (r²SCAN)

Data for an optimized crystal structure of P2Pb3O8.

Unit cell a=10.9630 b=8.7909 c=8.8763 alpha=90.00 beta=112.93 gamma=90.00
Closest atoms and distances in Å follow each position.
Space group C2/c (No. 15)
Inequivalent atoms, fractional coordinates:
1 P 0.2120 0.2016 0.1993 x8  4 O 1.53-1.55
2 Pb 0.0000 0.0849 0.7500 x4  4 O 2.44-2.63
3 Pb 0.1467 0.4535 0.4384 x8  3 O 2.38-2.42
4 O 0.1352 0.3019 0.7379 x8  1 P 1.55
5 O 0.1563 0.3606 0.1426 x8  1 P 1.53
6 O 0.1576 0.0814 0.0618 x8  1 P 1.55
7 O 0.1720 0.1574 0.3433 x8  1 P 1.55

***

## Al5S8 (r²SCAN)

Data for an optimized crystal structure of Al5S8.

Unit cell a=9.8731 b=9.8731 c=9.8731 alpha=90.00 beta=90.00 gamma=90.00
Closest atoms and distances in Å follow each position.
Space group F-43m (No. 216)
Inequivalent atoms, fractional coordinates:
1 Al 0.0000 0.0000 0.0000 x4  4 S 2.28
2 Al 0.1169 0.1169 0.6169 x16  6 S 2.35-2.48
3 S 0.1210 0.1210 0.3790 x16  3 Al 2.35
4 S 0.1334 0.1334 0.8666 x16  4 Al 2.28-2.48

***

## MgAl2O4 (r²SCAN)

Data for an optimized crystal structure of MgAl2O4.

Unit cell a=9.8955 b=5.7062 c=32.8396 alpha=90.00 beta=95.83 gamma=90.00
Closest atoms and distances in Å follow each position.
Space group Cm (No. 8)
Inequivalent atoms, fractional coordinates:
1 Mg 0.0000 0.0000 0.0000 x2  4 O 1.92-1.95
2 Mg 0.0159 0.5000 0.0549 x2  6 O 1.97-2.09
3 Mg 0.0676 0.5000 0.7157 x2  4 O 1.93-1.95
4 Mg 0.0846 0.0000 0.2676 x2  6 O 2.00-2.09
5 Mg 0.1030 0.5000 0.8228 x2  4 O 1.93-1.95
6 Mg 0.1382 0.0000 0.4294 x2  4 O 1.94-1.99
7 Mg 0.1738 0.0000 0.5371 x2  4 O 1.93-1.95
8 Mg 0.2101 0.5000 0.1446 x2  4 O 1.92-1.97
9 Mg 0.2445 0.5000 0.2487 x2  4 O 1.92-2.00
10 Mg 0.2815 0.0000 0.8585 x2  4 O 1.93-1.96
11 Mg 0.3166 0.0000 0.9674 x2  4 O 1.95-1.97
12 Mg 0.3524 0.5000 0.5728 x2  4 O 1.94-1.95
13 Mg 0.3891 0.5000 0.6799 x2  4 O 1.93-1.94
14 Mg 0.4601 0.0000 0.3941 x2  4 O 1.93-1.95
15 Al 0.0133 0.5000 0.5551 x2  6 O 1.90-1.93
16 Al 0.0262 0.0000 0.1081 x2  4 O 1.79-1.83
17 Al 0.0497 0.2504 0.9119 x4  6 O 1.90-1.93
18 Al 0.0850 0.0000 0.7691 x2  6 O 1.91-1.92
19 Al 0.1207 0.2498 0.6263 x4  6 O 1.91-1.92
20 Al 0.1560 0.5000 0.4836 x2  6 O 1.91-1.93
21 Al 0.1575 0.5000 0.9832 x2  6 O 1.88-1.96
22 Al 0.1933 0.2533 0.3407 x4  6 O 1.90-1.96
23 Al 0.2256 0.0000 0.1973 x2  6 O 1.86-2.04
24 Al 0.2281 0.0000 0.6978 x2  6 O 1.90-1.93
25 Al 0.2619 0.2556 0.0541 x4  6 O 1.85-2.06
26 Al 0.2994 0.5000 0.4126 x2  6 O 1.90-1.92
27 Al 0.2997 0.5000 0.9117 x2  6 O 1.90-1.92
28 Al 0.3352 0.2501 0.7691 x4  6 O 1.91-1.92
+++
Miss you!
The trip started in January 1994. To read the posts in order, go the Itinerary Post.